2. He said, “Take now your son, your only son, whom you love, Isaac, and go to the land of Moriah, and offer him there as a burnt offering …”
Genesis 22:2 NASB
2. Any man from the sons of Israel or from the aliens sojourning in Israel who gives any of his offspring to Molech, shall surely be put to death; …
Leviticus 20:2 NASB
(further examples: Leviticus 18:21, Deuteronomy 18:10, 2 Kings 21:6)
Sincere Accusation
The critic gives a list of “clear sacrifices” he has found in the scriptures to support his view that “the Cruel God of the Old Testament” would ask human sacrifices. Is his list convincing? This is a sincere accusation and is worth considering carefully.
The list
The references of human sacrifices according to the critic are as follows:
Genesis 22:2, Exodus 22:29, Leviticus 27:28-29, Numbers 31:25-29, Judges 11:29-40, 2 Samuel 21:1,8-9,14, 1 Kings 13:2, 2 Kings 23:20, 2 Chronicles 34:1-5.
Let’s have a look.
These data records were left in the article by mistake
+++
A 2-piece molecular cluster, C11H20BNO8P overall in a non-equilibrium geometry. Source: the OMol25 dataset; level of theory: ωB97M-V with the def2-TZVPD basis set.

E	-1454.0142	Ha
highest occupied orbital energy	-12.36	eV
LUMO energy	-5.0	eV
orbital gap	7.37	eV
net charge	+1

```
42
Properties=species:S:1:pos:R:3:forces:R:3:lowdin_charge:R:1
C 0.502 0.218 -1.122 0.164 0.154 -0.140 -0.046
C 1.400 1.340 -0.629 -0.657 -0.493 0.006 -0.184
O 1.264 2.486 -1.501 -0.105 0.166 0.517 0.087
B 1.777 3.668 -1.035 1.056 -0.132 -0.360 -0.750
O 3.037 4.092 -1.371 -0.751 0.090 -0.377 0.223
O 1.043 4.490 -0.172 -0.280 -0.198 -0.357 0.255
C -0.163 4.065 0.244 0.215 0.507 -0.466 -0.435
O -0.443 3.947 1.381 -0.310 -0.260 1.414 0.230
C -1.226 3.837 -0.785 0.089 -0.293 -0.224 -0.062
C -1.376 4.654 -1.893 -0.300 -0.273 -0.108 0.072
C -2.400 4.392 -2.781 0.610 0.215 0.508 0.019
N -3.218 3.355 -2.551 -0.020 0.063 -0.207 0.118
C -3.098 2.549 -1.486 0.538 0.004 0.634 0.018
C -2.096 2.778 -0.564 -0.433 0.193 -0.603 0.065
H -0.336 0.637 -1.666 -0.238 0.133 -0.100 0.062
H 1.042 -0.427 -1.803 -0.005 -0.193 -0.115 0.085
H 0.118 -0.380 -0.304 0.128 -0.206 0.131 0.067
H 1.102 1.608 0.384 0.076 0.214 0.184 0.123
H 2.430 1.010 -0.613 0.315 0.117 0.029 0.133
H 2.988 4.783 -2.042 0.530 0.205 0.160 0.122
H -0.697 5.473 -2.044 0.060 0.225 -0.211 0.146
H -2.543 4.997 -3.656 -0.295 -0.028 -0.267 0.149
H -3.952 3.167 -3.222 -0.074 -0.023 -0.027 0.188
H -3.786 1.733 -1.372 -0.273 -0.101 -0.191 0.150
H -1.987 2.154 0.302 -0.016 -0.177 0.190 0.147
C 0.514 -3.449 3.849 -0.058 0.039 0.082 -0.088
O 1.272 -4.177 2.879 0.050 0.048 -0.060 -0.206
P 0.785 -4.187 1.368 -0.025 -0.182 0.036 0.331
O 0.707 -2.859 0.746 -0.161 0.226 0.071 -0.243
O -0.558 -5.023 1.345 0.089 0.115 -0.006 -0.194
C -1.827 -4.363 1.390 -0.167 0.009 -0.029 -0.093
O 1.768 -5.212 0.710 0.017 -0.033 -0.062 -0.193
C 3.108 -4.790 0.409 0.162 -0.001 -0.009 -0.075
H 1.207 -3.028 4.572 0.045 -0.030 -0.015 0.090
H -0.051 -2.636 3.389 0.038 0.008 -0.034 0.082
H -0.167 -4.131 4.359 -0.005 -0.007 -0.022 0.092
H -1.726 -3.292 1.216 0.071 -0.012 -0.026 0.075
H -2.286 -4.539 2.361 0.027 -0.015 0.007 0.089
H -2.457 -4.791 0.614 0.031 -0.041 -0.001 0.090
H 3.735 -4.898 1.293 -0.029 0.009 0.021 0.092
H 3.121 -3.757 0.065 -0.051 0.009 0.016 0.082
H 3.478 -5.437 -0.380 -0.057 -0.053 0.011 0.091
```
Positions in Å, forces in eV/Å.


Entry 1:
Below is C28H21BF2N6O5PbSe as an isolated structure, with properties calculated with ωB97M-V/def2-TZVPD.

Kohn-Sham gap   4.33 eV
Total charge   -2
Energy relative to the best compared isomer or geometry (same formula, charge and spin)   0.925 eV

Last column: Mulliken charge in e.
Positions of all 65 atoms, in Å:
Pb  -0.077  0.639  0.935  1.3693
O  3.480  -2.527  2.356  -0.7315
C  3.067  -3.637  1.724  0.2624
C  3.868  -4.776  1.826  -0.5881
C  3.507  -5.944  1.185  -0.2277
C  2.335  -6.003  0.432  -0.7554
C  1.530  -4.880  0.351  -0.4405
C  1.868  -3.692  0.995  0.1954
C  0.968  -2.496  0.936  0.9756
+++
Isaac (Genesis 22:2). He was not slaughtered at all; this example fails.
The first borne sons of Israel (Exodus 22:29). Not one time a first borne has been actually slaughtered; this example fails.
The ban (Leviticus 27:28-29). The ban in relation to people has three possibilities:
– 1. In relation to the first born; he has to be redeemed for five shekels (Numbers 18:16).
– 2. In relation to war ‘a ban on the enemy’ is a conduct of war which was not specifically a Hebrew custom.
– 3. A punishment of death penalty in Israel (2 Samuel 21:1,8-9,14)
The issue of a sacrifice on an altar fails with regard to all options.
Division of the booty (Numbers 31:25-29). Captured men were divided among the sons of Aaron, the Levites and the soldiers of Israel. The men for Aaron are called ‘an offering, a gift’ (donation, levy). Why? The priests didn’t fight in a war, but yet they recieved from the spoil as prescribed in the Law. No slaughtering occured.
Here the text breaks off for data records =
┌──
[1]
Here is a molecular structure, C19H43NdOP3S in a non-equilibrium geometry from OMol25. Energies are from ωB97M-V/def2-TZVPD.

Atoms and positions in Å:
Nd1 0.1056 -0.3568 1.5140
P1 -1.6009 -2.1115 2.4833
P2 2.1445 -1.8290 0.9920
P3 -0.7681 -0.9952 -0.9980
H1 0.6454 2.3015 1.2085
C1 -0.0434 1.7094 0.6514
C2 -1.3433 1.3590 1.2931
H2 -1.5321 1.7022 2.2922
C3 -1.7375 -1.9267 4.1954
C4 -1.2992 -3.7940 2.1872
C5 -3.2064 -1.7328 1.8495
C6 3.3870 -0.9029 0.1757
C7 2.8621 -2.4287 2.4663
C8 1.9112 -3.2730 0.0306
C9 -2.1118 0.0201 -1.4787
C10 -1.2741 -2.6286 -1.3059
C11 0.5284 -0.6053 -2.1334
H3 0.0024 1.7577 -0.4035
H4 -2.1833 1.1569 0.6804
H5 -1.9313 -0.8958 4.5300
H6 -0.8494 -2.3009 4.7299
H7 -2.5969 -2.5544 4.4596
H8 -0.3560 -4.1232 2.6446
H9 -1.2766 -4.0630 1.1249
H10 -2.1341 -4.3095 2.6733
H11 -3.5102 -0.7022 2.0833
H12 -3.8654 -2.4354 2.3744
H13 -3.3083 -1.8802 0.7700
H14 4.2363 -1.5927 0.0812
H15 3.7052 -0.0150 0.7457
H16 3.0821 -0.5634 -0.8219
H17 3.7314 -3.0042 2.1136
H18 2.1953 -3.1031 3.0237
H19 3.2194 -1.6480 3.1531
H20 2.9076 -3.7287 0.0226
H21 1.6046 -3.0789 -0.9979
H22 1.1986 -3.9744 0.4843
H23 -2.2789 -0.2818 -2.5136
H24 -1.8942 1.0940 -1.4458
H25 -3.0204 -0.1675 -0.8901
H26 -1.4549 -2.6391 -2.3845
H27 -2.2035 -2.8703 -0.7829
H28 -0.5263 -3.3896 -1.0555
H29 0.0558 -0.7146 -3.1170
H30 1.3793 -1.2849 -2.0641
H31 0.8956 0.4250 -2.0205
C12 -0.7876 3.4301 -5.0838
C13 0.2314 4.0011 -5.8948
C14 0.2356 5.3663 -6.1710
C15 -0.7626 6.1978 -5.6557
C16 -1.7728 5.6538 -4.8564
C17 -1.7872 4.2924 -4.5739
S1 -0.8655 1.7465 -4.6906
H32 0.2531 1.3615 -5.3777
H33 1.0074 3.3568 -6.2959
H34 1.0260 5.7821 -6.7945
H35 -0.7545 7.2698 -5.8759
H36 -2.5544 6.2907 -4.4501
H37 -2.5729 3.8648 -3.9515
C18 2.4779 1.1165 4.8106
C19 1.7591 1.1178 3.4808
O1 0.6769 0.0165 3.5969
H38 1.7802 1.3719 5.6034
H39 3.2254 1.9006 4.7263
H40 2.9624 0.1747 5.0187
H41 1.2430 2.0118 3.2936
H42 2.4069 0.8090 2.6419
H43 1.0808 -0.7535 3.8790

Energy in eV: -76395.0936
Energy relative to the best compared isomer or geometry (same formula, charge and spin) in kcal/mol: 131.8
2S+1: 4
Frontier orbital gap (alpha / beta) in eV: 2.32 / 2.24
Molar mass in u: 556.78
Charge: +3
HOMO (alpha / beta) in eV: -13.82 / -13.81

[2]
Here is 2 unconnected molecules or ions with the total composition C7H9N3O in a non-equilibrium geometry from OMol25. Energies are from ωB97M-V/def2-TZVPD.

Atoms and positions in Å:
C1 2.7989 -0.1341 -1.7815
C2 1.4231 -0.0673 -1.7394
C3 -1.7255 -1.0135 1.6781
C4 -0.4411 -0.6334 1.5471
C5 -2.2986 -0.9923 0.2732
C6 -0.1067 -0.4715 0.1254
C7 -0.2545 2.3226 0.3865
N1 3.2162 -0.3978 -0.5719
N2 2.2080 -0.4124 0.2270
N3 1.0690 -0.2869 -0.4672
O1 -1.1850 -0.8216 -0.6321
H1 3.4743 -0.0566 -2.6201
H2 0.6736 0.1610 -2.5040
H3 -2.3466 -1.1579 2.4826
H4 0.3697 -0.7283 2.3431
H5 -2.7645 -1.9877 -0.0148
H6 -3.1200 -0.3331 0.0876
H7 0.7410 2.3523 0.6212
H8 -0.9871 1.9285 1.0350
H9 -0.7444 2.7299 -0.4758

Energy in eV: -13916.7978
└──
Jephtah (Judges 11:29-40). Jephtah didn’t slaughter his daughter. See the article:
Did Jephthah sacrifice his own daughter?
The seven sons of Saul (2 Samuel 21:1,8-9,14). They were sentenced to death for their cooperation with their father Saul to exterminate the Gibeonites. No sacrifice on an altar, but a death penalty; this example fails.
Priests of foreign gods (1 Kings 13:2, 2 Kings 23:20, 2 Chronicles 34:1-5). They were killed on their own altars; not as a sacrifice on the altar of the Lord, but as a punishment and announcement that their gods couldn’t have saved them; this example fails. To understand the negative impact of the Canaanite religions see the article: Is God good to all?
I’m sorry, but this is in no way a convincing list of “evidence”. Not one of the referred examples is a realistic example of a sacrifice to the God of Israel.
No Bible Contradictions